I attended a few weeks ago Willow Creek’s Global Leadership Summit at Wieuca Road Baptist Church, a satellite host site for the summit in Atlanta.

The unofficial motto of the summit is Bill Hybel’s repeated reminder that “everyone wins when a leader gets better.”

That’s the goal of the summit: to make leaders – and particularly Christian leaders – better at what they do.

This year’s theme was “A Grander Vision.” As the challenges we face get bigger and as the rate of change around us continues to accelerate, it takes big vision and big courage to keep up.

One of the things I wrestle with almost daily is how the church can adapt to rapidly changing cultural and social contexts.

What I sometimes forget, though, is that it’s not just the church that’s having to adapt.

Everyone – every institution and every individual from every walk of life – is having to adapt to the pace of change, too.

That means that all who attend our churches are consciously or unconsciously struggling to figure out how to best face a new reality that bears increasingly little resemblance to our collective pasts.

The church, in general, has been reluctant to embrace new vision at the speed necessary to keep up with the shifting culture, and we’re seeing rapid church decline as the inevitable result.

The church is, by its nature, rooted in tradition so it makes sense that we might have trouble with change, but that shouldn’t be the case.

The church was founded as a change-driven institution. Our job is to produce change on a grand scale.

We serve a God whose vision for what this world can become couldn’t be grander and whose ability to help us navigate the change required to turn that vision into reality is unrivaled.

At the summit last week, Hybels identified five qualities that will help our churches lead in the service of our God-given grander visions.

1. Churches need grit.

We need to be people willing to face challenges head on and stick with it until we’ve overcome them. Big dreams don’t get accomplished if we abandon them at the first sign of conflict or after the first attempt fails.

2. Churches need to be self-aware.

Congregations need to recognize how their communities perceive them and must work to overcome negative or inaccurate perceptions. We also need to work to improve when self-reflection reveals our shortcomings.

But, most important, self-awareness means recognizing that God has uniquely gifted the local church with the capacity to change the world.

3. Churches need resourcefulness.

We need to be able to work beyond the limitations that have become hallmark characteristics of the church today.

These congregations are strategic in their use of people power and financial resources and improvise when those resources fall short.

These churches are solution-oriented and thrive on their ability to live beyond excuses.

They remember that we have the power and promise of God on our side. When things look tough or even impossible, we should all remember that.

4. Congregations that are successfully embracing grander visions are characterized by self-sacrificing love – love for each other, love for the community and love for the mission.

These churches are made up of people who put the preferences of others ahead of their own and who put the needs of their communities ahead of their own comfort.

-- Between two parts of the entry: data records --
┌──
Computed, not measured: crystalline RbInGe2Cl8 at its relaxed geometry at the PBE level of DFT.

Values from the calculation:
E_tot in eV/atom: -3.38
SG: P-1, No. 2

a = 6.482 Å, b = 6.910 Å, c = 9.209 Å
α = 82.06°, β = 84.81°, γ = 86.46°
Atoms (fractional coordinates):
Cl: 0.157 0.753 0.218
Cl: 0.328 0.223 0.972
Cl: 0.843 0.247 0.782
Ge: 0.507 0.586 0.241
In: 0.000 0.000 0.000
Ge: 0.493 0.414 0.759
Cl: 0.583 0.758 0.425
Cl: 0.417 0.242 0.575
Cl: 0.154 0.799 0.820
Cl: 0.672 0.777 0.028
Cl: 0.846 0.201 0.180
Rb: 0.000 0.000 0.500


{
  "formula": "SiHSe3",
  "functional": "PBE",
  "state": "relaxed",
  "lattice": [[4.8546, 0.0000, 0.0000], [0.0000, 4.8546, 0.0000], [0.0000, 0.0000, 4.8546]],
  "species": ["H", "Se", "Se", "Se", "Si"],
  "fractional_positions": [[0.5000, 0.5000, 0.5000], [0.0000, 0.0000, 0.5000], [0.0000, 0.5000, 0.0000], [0.5000, 0.0000, 0.0000], [0.0000, 0.0000, 0.0000]],
  "total_energy_ev_per_atom": -3.0617
}

---

{
  "formula": "SiHSe2",
  "functional": "PBE",
  "state": "relaxed",
  "lattice": [[3.6035, -1.9166, 1.6881], [1.9885, 1.7585, 3.5302], [-0.2139, -2.0516, 3.9056]],
  "species": ["Se", "Se", "H", "Si"],
  "fractional_positions": [[0.2500, 0.2500, 0.2500], [0.7500, 0.7500, 0.7500], [0.0000, 0.0000, 0.0000], [0.5000, 0.5000, 0.5000]],
  "total_energy_ev_per_atom": -3.2672
}

---

{
  "formula": "SiHSe",
  "functional": "PBE",
  "state": "relaxed",
  "lattice": [[-2.1127, -3.0868, -2.7651], [4.9905, -1.4474, -0.8337], [-0.3340, -2.4419, 5.6451]],
  "species": ["Se", "Se", "H", "H", "Si", "Si"],
  "fractional_positions": [[0.8727, 0.2886, 0.7367], [0.1273, 0.7114, 0.2633], [0.3429, 0.8197, 0.8222], [0.6571, 0.1803, 0.1778], [0.7152, 0.4054, 0.0526], [0.2848, 0.5946, 0.9474]],
  "total_energy_ev_per_atom": -4.2809
}

---

{
  "formula": "SiHSe",
  "functional": "PBE",
  "state": "relaxed",
  "lattice": [[5.0836, 0.0000, 0.0000], [0.0000, 2.6009, 0.0000], [0.0000, 0.0000, 3.4408]],
  "species": ["Si", "Se", "H"],
  "fractional_positions": [[0.5000, 0.0000, 0.8304], [0.0000, 0.0000, 0.8340], [0.5000, 0.0000, 0.3309]],
  "total_energy_ev_per_atom": -3.8872
}

---

{
  "formula": "SiHSe",
  "functional": "PBE",
  "state": "relaxed",
  "lattice": [[-1.5369, -1.9623, 2.4165], [1.7713, -2.8185, -1.1621], [3.1061, 0.8685, 2.6280]],
  "species": ["H", "Si", "Se"],
  "fractional_positions": [[0.5795, 0.0000, 0.8188], [0.0805, 0.0000, 0.7223], [0.0749, 0.5000, 0.3530]],
  "total_energy_ev_per_atom": -3.9967
}

---

{
  "formula": "SiHSe2",
  "functional": "PBE",
  "state": "relaxed",
  "lattice": [[-6.2434, 2.4607, -0.0084], [-4.5447, 3.9008, 3.0273], [-3.9419, 5.4188, -0.3649]],
  "species": ["Si", "Se", "Se", "H"],
  "fractional_positions": [[0.5000, 0.5000, 0.5000], [0.9074, 0.9074, 0.9074], [0.0926, 0.0926, 0.0926], [0.0000, 0.0000, 0.0000]],
  "total_energy_ev_per_atom": -3.8965
}

---

{
  "formula": "SiHSe",
  "functional": "PBE",
  "state": "relaxed",
└──

They understand that the church exists in service to a mission – a grander vision – and they make personal sacrifices to support that vision.

5. Churches that embrace grander visions do so out of a well-developed sense of meaning.

With a clear sense of purpose and a clear identity, churches are free to live fully into the vision God has given them.

Clarity of meaning and purpose are energizing forces. When that energy is combined with the energy of a God-sized vision for what the future looks like, then churches begin to approach the potential that Christ envisioned when he established the church as God’s kingdom-building institution more than 2,000 years ago.

Whatever challenges we face today, Christians must remember that the kingdom of God is at hand, and nothing can stop its progress.

~~~
No. 1
La3Sn2Au9 | PBE | relaxed

```
14
Lattice="4.423 0.000 1.234 1.512 8.153 3.124 -0.088 -0.193 8.859" Properties=species:S:1:pos:R:3 pbc="T T T"
La 0.000 0.000 0.000
La 3.552 2.314 4.359
La 2.296 5.646 8.858
Sn 2.622 2.408 7.689
Sn 3.225 5.553 5.528
Au 0.712 3.980 5.991
Au 4.314 7.833 10.170
Au 1.534 0.127 3.047
Au 3.889 5.616 11.693
Au 1.959 2.344 1.524
Au 5.050 6.860 7.531
Au 0.797 1.100 5.686
Au 4.376 3.343 9.948
Au 1.472 4.618 3.269
```

Results
The density of states at the Fermi level comes out at 6.89 states/eV/cell. The calculation puts the calculated formation energy at -0.6038 eV per atom. The crystal system is orthorhombic.

---

No. 2
LaSn3Au2 | PBE | relaxed

```
12
Lattice="-4.576 -0.325 -0.187 -1.641 -8.607 -1.285 -2.099 -6.822 6.819" Properties=species:S:1:pos:R:3 pbc="T T T"
La -4.468 -2.231 0.471
La -3.848 -13.523 4.876
Sn -4.091 -10.245 5.134
Sn -6.485 -8.294 3.965
Sn -4.387 -5.123 3.500
Sn -3.929 -10.631 1.847
Sn -1.831 -7.460 1.382
Sn -4.225 -5.509 0.213
Au -4.308 -7.321 5.383
Au -4.008 -8.432 -0.036
Au -6.258 -11.177 3.414
Au -2.058 -4.577 1.933
```

Results
The density of states at the Fermi level comes out at 3.51 states/eV/cell. The calculation puts the calculated formation energy at -0.4753 eV per atom. For the excess energy over the best structure of this formula in the dataset, the calculation gives 15 meV/atom. The crystal system is monoclinic.

---

No. 3
La3Sn4Au4 | PBE | relaxed

```
11
Lattice="4.371 0.000 -1.203 -0.866 6.995 -3.144 0.184 -0.095 9.210" Properties=species:S:1:pos:R:3 pbc="T T T"
La 0.482 0.847 1.752
La 3.207 6.052 3.110
La -0.433 3.497 -1.572
Sn 1.480 0.909 5.378
Sn 2.553 3.212 0.733
Sn 2.209 5.990 -0.516
Sn 1.137 3.688 4.129
Au 0.403 4.965 1.464
Au 3.287 1.934 3.398
Au 1.481 5.693 -3.161
Au 2.024 1.302 -1.187
```

Results
The density of states at the Fermi level comes out at 5.53 states/eV/cell. The calculation puts the calculated formation energy at -0.6569 eV per atom. The crystal system is orthorhombic.

---

No. 4
La3Sn4Au3 | PBE | relaxed

```
20
Lattice="2.236 -6.351 -5.787 5.817 0.073 6.707 -8.140 -1.607 3.160" Properties=species:S:1:pos:R:3 pbc="T T T"
La -1.362 -5.321 4.178
La -1.677 -6.543 -1.412
La 0.426 -1.168 2.582
La -4.539 -3.578 1.038
La 4.631 -1.724 4.817
La 2.260 -5.320 1.036
Sn -2.692 -0.532 1.045
Sn -1.028 -3.955 0.904
Sn 1.103 -4.510 -2.203
Sn -6.761 -1.335 2.625
Sn 4.765 -5.239 -1.454
Sn 1.880 -3.918 4.258
Sn 3.648 -2.063 1.440
Sn -1.176 -2.102 5.624
Au 1.590 -1.342 5.492
Au 1.275 -2.564 -0.098
Au 4.452 -4.307 3.041
Au -0.513 -6.717 1.498
Au -2.347 -2.565 3.043
Au -4.718 -6.160 -0.737
```

Results
The density of states at the Fermi level comes out at 18.70 states/eV/cell. The calculation puts the calculated formation energy at -0.7566 eV per atom. The crystal system is cubic.

---

No. 5
La2Sn2Au | PBE | relaxed

```
10
Lattice="8.429 0.000 0.000 0.000 8.429 0.000 0.000 0.000 4.579" Properties=species:S:1:pos:R:3 pbc="T T T"
Au 0.000 0.000 0.000
Au 4.214 4.214 0.000
~~~
_Back to the page_

Matt Sapp is the pastor of Heritage Baptist Fellowship in Canton, Georgia. A version of this article first appeared on Heritage’s blog and is used with permission. You can follow him on Twitter @MattPSapp.